October 8
(Records of crystals, kept here for reference)
~~~
[1]
An optimized crystal structure of NaAgSb, computed with PBE.

Computed properties:
Energy above the lowest structure with this stoichiometry ... 0.00 eV/f.u.
Raw formation energy ... -0.243 eV per atom
Fermi-level density of states ... 1.0 states/eV per cell
SG ... P-6m2 (187)

abc: 3.554 4.856 4.856
angles: 120.00 90.00 90.00
Fractional positions:
Sb: 0.166 0.000 0.000
Ag: 0.167 0.333 0.667
Na: 0.667 0.667 0.333

***

[2]
An optimized crystal structure of Nb4Te9I4O, computed with PBE.

Computed properties:
Raw formation energy ... -0.571 eV per atom
Fermi-level density of states ... 1.7 states/eV per cell
SG ... C2/c (15)

abc: 6.311 12.051 18.390
angles: 86.78 80.12 74.82
Fractional positions:
Nb: 0.999 0.232 0.649
Nb: 0.880 0.268 0.851
Nb: 0.120 0.732 0.149
Nb: 0.777 0.082 0.763
Nb: 0.378 0.582 0.263
Nb: 0.223 0.918 0.237
Nb: 0.622 0.418 0.737
Nb: 0.001 0.768 0.351
Te: 0.057 0.021 0.870
Te: 0.381 0.877 0.078
Te: 0.524 0.565 0.103
Te: 0.943 0.979 0.130
Te: 0.665 0.377 0.578
Te: 0.619 0.123 0.922
Te: 0.700 0.750 0.250
Te: 0.476 0.435 0.897
Te: 0.300 0.250 0.750
Te: 0.052 0.521 0.370
Te: 0.176 0.985 0.670
Te: 0.830 0.515 0.830
Te: 0.335 0.623 0.422
Te: 0.808 0.065 0.603
Te: 0.824 0.015 0.330
Te: 0.170 0.485 0.170
Te: 0.192 0.935 0.397
Te: 0.948 0.479 0.630
I: 0.332 0.210 0.521
I: 0.063 0.290 0.979
I: 0.395 0.114 0.221
I: 0.937 0.710 0.021
I: 0.668 0.790 0.479
I: 0.270 0.614 0.721
I: 0.605 0.886 0.779
I: 0.730 0.386 0.279
O: 0.754 0.250 0.750
O: 0.246 0.750 0.250

***

[3]
An optimized crystal structure of BeNi2P, computed with PBE.

Computed properties:
Energy above the lowest structure with this stoichiometry ... 0.81 eV/f.u.
Fermi-level density of states ... 3.4 states/eV per cell
Formation energy from the elements ... -0.156 eV/atom
SG ... R-3m (166)

abc: 7.279 7.279 7.279
angles: 20.71 20.71 20.71
Fractional positions:
Ni: 0.999 0.999 0.999
Ni: 0.501 0.501 0.501
Be: 0.750 0.750 0.750
P: 0.250 0.250 0.250

***

[4]
An optimized crystal structure of LiBe2W, computed with PBE.

Computed properties:
Energy above the lowest structure with this stoichiometry ... 0.27 eV/f.u.
Fermi-level density of states ... 2.3 states/eV per cell
Formation energy from the elements ... 0.242 eV/atom
SG ... P4/mmm (123)

abc: 3.686 3.685 3.281
angles: 90.00 90.00 90.00
Fractional positions:
Be: 0.000 0.000 0.000
Be: 0.500 0.500 0.000
Li: 0.500 0.000 0.500
W: 0.000 0.500 0.500

***

[5]
An optimized crystal structure of MgZrPtO6, computed with PBE.

Computed properties:
Raw formation energy ... -1.694 eV per atom
Fermi-level density of states ... 12.0 states/eV per cell
SG ... P-31c (163)

abc: 5.299 5.299 8.904
angles: 90.00 90.00 120.00
Fractional positions:
Mg: 0.000 0.000 0.000
Mg: 0.000 0.000 0.500
Zr: 0.333 0.667 0.250
Zr: 0.667 0.333 0.750
Pt: 0.667 0.333 0.250
Pt: 0.333 0.667 0.750
O: 0.666 0.648 0.127
O: 0.982 0.334 0.127
O: 0.334 0.982 0.627
O: 0.018 0.666 0.873
O: 0.352 0.334 0.373
O: 0.982 0.648 0.373
O: 0.648 0.982 0.873
O: 0.666 0.018 0.373
~~~
Fire Prevention. The Bolivar Fire Department will present to our elementary students during their fine arts times on this day.
October 10
Parent conference day (also an early release day). Please call the office at (409) 684-8526 to schedule conferences. Our goal is to reach 100% of our parents. Remember, it takes the parent, the teacher, the community and communication to instill success and motivate children. Call and set up those conferences, we need you.
October 10
Volleyball Pep Rally! The Pep Rally will begin at 8:15. There will be a faculty/parent and Middle School Volleyball game immediately after the pep rally.
October 10
Poison Prevention program for all elementary students.
October 15
Rachel’s Challenge presentation for all MS students. It will take place at 1:00 in the cafeteria. We are inviting the public and parents to this meeting. The presentation will last about an hour. After the presentation there will be some specific training for our MS students on how to be a leader to carry out the challenge. Rachael was the first student killed in the Columbine shootings. For more information and understand the power of this challenge, please visit: https://www.rachelschallenge.org.
October 17
There will be a public presentation in Galveston Thursday, October 17th at 6:00 pm for those who wish to attend that couldn’t attend to our middle of the day presentation. This program is for MS students only because they do show part of the Columbine Shooting videos to students.
Crenshaw is still collecting donations for the food bank. Non-perishable items needed. Please take a few minutes to drop off items at the school. Every little bit counts when you have nothing. If you don’t have time to pick up goods, you are welcome to make a donation to Crenshaw’s NJHS and they will purchase the goods for you.
We are raising funds via donations for our Crenshaw Theater to compete at the Texas Renaissance Festival. An additional $500.00 needed to make this happen for them. For many of these kids (93% of our campus is considered low-socioeconomic-meaning 93% of our students receive free or reduced lunches), this will be their only opportunity to attend something like this. If someone could help, please message me or just drop a check off to Crenshaw School. All checks need to be payable to Crenshaw. In the subject area please put Theater. -Catherine Jackson-
Fall Festival Time! Community-we need your support to provide an amazing night for our community. If you would like to donate prizes, help operate a booth, or etc. Please contact us-409-684-8526.